Central Asia’s autocracies after Crimea
Russian roulette
Events in Ukraine point up local rulers’ frailties—and they know it
Mar 15th 2014 | BISHKEK |
From the print edition
CORROSIVE corruption, submissive courts, poverty lapping at the gates of presidential palaces: the parallels between the regimes of Central Asia’s autocrats and that of the fallen Ukrainian president, Viktor Yanukovych, are uncomfortably plain. Events in Ukraine pose two worries for the ageing strongmen of Central Asia.
**Next to the entry, the page also holds data records**
- - -
No. 1
Molecular formula: C48H90N10
Method: DFT, ωB97M-V/def2-TZVPD

Calculated values
HOMO level   -7.60 eV
HOMO-LUMO gap   8.20 eV
F_max   4.12 eV/A

CARTESIAN COORDINATES (ANGSTROEM)
1 C -5.89472 1.45361 2.10876
2 H -1.18623 3.22050 -5.00290
3 N -2.15164 0.76104 1.84345
4 H 2.48821 -1.64380 2.07433
5 C 0.13930 6.02821 0.19326
6 C -2.08329 -2.56290 -2.96286
7 H -0.58198 4.06731 0.84159
8 H 0.93109 -0.07286 2.56736
9 H 2.03182 5.60520 -4.43392
10 H 4.91171 -3.17052 -3.33146
11 H 0.47935 -5.81953 -1.58123
12 H 4.50522 -3.21657 4.78629
13 H -6.70410 -0.58758 0.28962
14 C 2.47956 -1.48617 4.74841
15 H -0.76375 -2.33496 0.97772
16 H -5.29131 -1.16635 -1.57256
17 C -0.69209 -6.21393 1.96298
18 H -2.59679 -2.07404 -5.04124
19 H -5.69629 1.76219 -3.22185
20 C 2.31888 4.01681 -3.13859
21 H 2.16311 6.09893 -2.81019
22 H 0.90153 -3.34320 -0.01216
23 H 6.05067 -2.75299 2.68946
24 H -3.11826 1.23600 -2.69414
25 C 4.73833 -2.19906 4.46625
26 N 2.03620 -1.73091 -3.07299
27 C -2.74698 -3.21779 1.41051
28 H -3.09778 -3.90656 2.17567
29 H -1.33920 0.06820 -4.75539
30 H -5.08548 -0.07787 4.29661
31 H -2.49632 -3.52218 -2.71210
32 C 6.04453 -2.23614 3.62204
33 H -4.80690 -1.84638 4.16933
34 N 3.59645 -1.65942 3.77311
35 N -0.85337 -4.29329 0.27937
36 C 2.47750 1.76781 -4.11086
37 N 1.57011 4.51938 0.94244
38 H -3.14180 0.66515 2.00923
39 H 2.76562 -3.98645 1.38293
40 H -1.06814 -6.29649 -0.18128
41 H 1.82682 1.24868 -3.32394
42 H 0.36008 -6.20983 1.94063
43 H 1.86138 3.61277 -2.21379
44 C -3.02604 3.33746 -2.13666
45 H 1.04702 -1.55660 -3.30462
46 C -5.35135 2.77578 1.68674
47 H -6.52400 -0.99559 2.70519
48 H 3.58378 -0.16343 6.11032
49 H -4.30793 2.92694 1.97746
50 H -3.18359 -3.53036 0.46852
51 H 5.06927 3.75521 1.66401
52 C 4.49393 2.83684 1.53189
53 H 4.59501 2.16733 -4.33834
54 H -0.54095 3.57219 -3.42050
55 C -4.95133 2.39778 -2.81849
56 H 1.59962 -4.56329 -2.07487
57 H 4.23464 -2.00816 1.91535
58 H -2.45889 -5.61411 0.78280
59 H 3.38567 5.59285 0.62095
60 H -3.58995 -0.77699 3.51778
61 H 4.12604 0.42466 -3.98321
62 H 2.23466 1.31032 -5.10620
63 C -0.99024 -0.61973 -2.68634
64 C -3.63562 2.15413 -2.55194
65 H 4.22734 -2.68939 -0.81482
66 H 1.80859 7.45302 -0.29620
67 H 1.68652 -1.65239 -1.01226
68 C 1.48161 6.53581 0.16842
69 N -2.18140 -1.86983 -4.15635
70 N -5.24512 0.25364 1.57136
71 C 2.98801 -2.37886 -3.82296
72 C -4.84491 -0.86617 -0.60956
73 H -0.66297 6.62894 -0.10552
74 H -0.68238 -3.54202 2.18685
75 C -1.58536 0.68718 0.60040
76 C -1.31160 -5.64161 0.66221
77 H 6.41636 -1.24098 3.46304
78 N 2.09498 3.15649 -4.26324
79 H -0.11630 -4.22447 -2.29431
80 H 2.37762 -2.34454 5.42489
81 C -1.23509 -3.27250 1.30100
82 H 3.50566 0.14097 2.86338
83 H -5.93081 0.96503 -0.29039
84 H -1.99644 3.47676 -1.87834
85 C 0.62129 -4.75681 -1.65646
86 H 1.93588 -0.04654 6.31004
87 H 2.93911 -2.43514 -4.93227
88 H -2.16098 0.93314 -0.27147
89 H 5.07063 -1.69686 5.37672
90 C 4.08852 2.14421 0.39067
91 C -1.43076 -0.66441 -3.97536
92 C 2.66538 -0.23331 5.56532
- - -
**Back to the entry**
First, the success of anti-government protests in Kiev, Ukraine’s capital, that toppled Mr Yanukovych might serve as inspiration for revolutions in Central Asia. Second, the rulers realise, the response of President Vladimir Putin of Russia in seizing Crimea could be seen as a blueprint for future Russian invasions. All five of the post-Soviet states of Central Asia have their own populations of ethnic Russians. These minorities have long felt more marginalised than those who now enjoy Mr Putin’s “protection” in Crimea.
Russia also has a big military presence in Central Asia. Kazakhstan is host to Russia’s Baikonur Cosmodrome and several military training facilities. Kyrgyzstan has a Russian air base. And Tajikistan is home to some 7,000 Russian troops—Moscow’s largest land force outside the motherland.
In public, most of Central Asia’s rulers have said almost nothing about events in Ukraine. Theirs is a delicate balancing act. They wish neither to encourage secessionism at home nor to alienate Russia, with its immense economic leverage. As a political analyst in Tajikistan, Parviz Mullojanov, says, for Russia to promote secessionism is dangerous for Central Asian countries—“They know they could be next”. Days after Russian troops occupied Crimea, Uzbekistan expressed anxiety about Ukraine’s “sovereignty and territorial integrity”. Kazakhstan said it was “deeply concerned” about “unpredictable consequences”. Tajikistan called vaguely for an “objective assessment”. Kyrgyzstan broke ranks on March 11th, condemning “acts aimed at destabilising” Ukraine.
Molecular data, as found in the file >
Record 1
ORCA calculation (the ωB97M-V functional and the def2-TZVPD basis) on a structure of composition C49H50BBrN6O2Ti at a distorted geometry.

Computed properties:
Spin multiplicity = 3
Gap between HOMO and LUMO (alpha / beta) = 5.45 / 8.12 eV
HOMO energy (alpha / beta) = -5.101 / -7.925 eV
<S²> = 2.030

```
110
Properties=species:S:1:pos:R:3:forces:R:3:lowdin_spin:R:1
Br 8.902 5.094 15.295 -0.2396 -0.3257 -0.1203 0.001
Ti 11.129 10.342 12.136 1.7104 0.4809 -1.2428 1.476
O 10.932 8.765 11.225 -1.6639 -4.1564 -1.3749 0.029
O 11.259 6.925 9.999 -1.0189 -0.1792 0.5474 0.006
N 11.321 13.009 13.277 1.1874 -0.8086 -1.6274 0.006
N 10.097 11.222 14.603 1.2950 -1.2955 -0.5696 0.031
N 12.215 12.060 12.713 1.3237 2.5480 0.3877 -0.009
N 10.837 10.162 14.001 -0.9123 -0.8939 4.1003 -0.031
N 9.057 12.415 12.669 -0.0184 -1.9718 -1.5130 0.009
N 9.558 11.528 11.699 -2.3205 1.8014 -1.6476 -0.011
C 13.437 10.922 5.847 -0.1145 -1.1620 -1.3393 0.000
C 12.542 13.309 5.714 0.7373 -1.1226 2.2033 0.000
C 13.258 5.636 14.489 0.5047 0.0761 -0.5639 0.023
C 12.688 7.844 13.727 0.2288 -0.4921 0.2254 0.022
C 9.354 6.872 11.601 1.1861 -0.1416 -1.6518 0.002
C 13.540 12.362 6.215 -0.7294 2.4381 -0.8287 0.000
C 9.163 9.078 7.208 1.3028 0.3556 1.0433 0.009
C 10.150 10.484 8.920 0.5254 0.8250 0.5892 0.011
C 10.316 9.578 7.890 -2.1267 -0.5679 -0.8727 -0.001
C 14.644 12.855 6.956 -0.7937 0.8706 0.7079 0.000
C 11.676 6.987 15.730 0.5117 -0.6083 0.5277 0.021
C 8.055 7.046 11.133 0.8006 0.9085 1.7459 0.001
C 11.814 7.998 14.806 -0.0421 -0.5020 -0.5589 0.008
C 9.577 6.117 12.727 0.7171 -0.1585 1.4378 0.000
C 11.527 12.806 4.708 0.4814 0.8300 -1.0068 0.000
C 14.593 12.349 12.209 3.2408 -0.8959 -0.3725 0.003
C 10.578 7.483 10.832 1.2934 1.4280 0.3739 0.007
C 16.313 10.769 12.931 0.1021 0.5392 -0.5456 -0.001
C 10.755 15.417 13.167 -0.2524 -0.3721 -1.1264 0.005
C 15.763 14.722 8.278 0.8655 0.0893 -0.4721 0.000
C 15.598 13.317 12.383 -0.0784 0.1826 0.2372 0.011
C 7.218 6.240 13.287 1.8871 0.6061 -0.9125 0.000
C 8.658 11.519 10.633 0.4318 1.9892 3.6144 0.035
C 11.642 14.233 12.827 0.5904 0.8198 -0.0529 0.030
C 10.992 9.147 14.960 -1.8004 4.3185 -0.2608 0.089
C 9.749 10.823 15.835 0.6664 0.4546 -0.0498 0.052
C 7.039 6.929 12.067 -1.0099 -0.8402 0.4109 0.000
C 7.055 13.652 13.136 -1.2513 1.6006 0.8498 0.004
C 8.895 10.842 9.399 -1.4778 -1.6117 -1.8933 0.001
C 12.502 5.867 15.629 -0.6569 0.2894 0.6063 -0.002
C 12.868 14.171 12.147 -0.4112 -0.4905 0.8338 0.001
C 15.828 11.924 7.196 -0.4662 -1.1246 0.5416 0.000
C 8.521 5.846 13.600 -0.3437 0.1489 -0.7717 0.000
C 13.343 6.638 13.483 -0.4599 -0.4025 0.3043 -0.003
C 9.047 11.738 16.730 -0.5235 0.5297 1.1838 0.010
C 10.282 9.601 16.118 0.2993 -1.7754 -0.0449 0.013
C 14.578 14.191 7.513 -0.7666 -1.1358 -1.4933 0.000
C 7.741 10.337 8.688 1.4680 0.6940 1.6373 0.007
C 11.232 15.467 6.064 0.2411 0.4169 0.1259 0.000
C 7.882 9.438 7.673 0.8779 -0.2161 -1.0207 -0.001
C 15.093 11.029 12.326 -1.1279 -0.4353 0.3597 0.014
It did not mention Russia by name. Indeed, the media in these countries hardly cover the crisis at all. Yet to the authorities’ mounting alarm, Russia is drafting legislation extending eligibility for citizenship to Russian-speakers anywhere in the former Soviet Union. It would explicitly entitle them to extraterritorial protection.
Mr Putin’s vision, to which the Crimean grab gives a nod, is to build a rival to the European Union. His Eurasian Economic Union is intended to be a group of authoritarian former Soviet republics that reject Western liberalism.
Two have already signed up, Belarus and Kazakhstan. Armenia and impoverished Kyrgyzstan, with a pro-Russian government established after a popular revolution in 2010, are negotiating entry. Tajikistan, which like Kyrgyzstan is heavily dependent on remittances earned in Russia, has expressed interest. But without reasserting Russian influence in Ukraine, so important in economic and geopolitical terms, Mr Putin will never be able to realise this grand ambition.
Oil-rich Kazakhstan exemplifies the region’s vulnerabilities. A founding member of the customs union, its economy is tied closely to Russia’s. On March 5th Mr Putin summoned the Kazakhstani president, Nursultan Nazarbayev, along with the president of Belarus, and told them that the Ukraine crisis risked hurting their economic bloc.
Mr Nazarbayev’s country has a large Russian population, concentrated along its 6,800-kilometre (4,250-mile) border with Russia. Russian nationalists sometimes mutter that these areas belong with Russia. If Mr Putin were asked to rescue ethnic Russians, might he amputate a bit of Kazakhstan? Mr Nazarbayev is taking no chances. After his visit to the Kremlin he ordered his army to be built up. But he is walking a fine, even awkward, line, saying on March 10th that he “understands” Mr Putin’s need to meddle in Ukraine.
(Misplaced data records)
<<<
The following is a DFT calculation (the ωB97M-V functional and the def2-TZVPD basis) of a 2-piece molecular cluster, C4H6O overall.

The geometry in XYZ format:
```
11
Properties=species:S:1:pos:R:3:forces:R:3
C 2.248168 -0.118083 -0.285757 -0.45 2.05 1.38
C 2.101236 0.895410 0.344688 0.58 -1.97 -1.26
C -1.583114 0.341210 -0.127805 -2.94 -1.32 0.07
C -0.720633 -0.911474 0.081890 1.15 0.68 -0.78
O -0.368197 -1.562027 -0.876374 -0.45 -0.04 0.47
H 2.160385 -1.056817 -0.679553 0.07 -1.69 -1.08
H -1.936049 0.810359 0.782399 0.57 0.13 0.56
H -2.660219 -0.075282 -0.490485 2.62 0.99 0.05
H 2.168894 1.715331 0.949941 -0.08 1.69 0.97
H -0.247393 -1.171921 1.076244 -0.90 0.38 -0.40
H -1.163075 1.133290 -0.775184 -0.15 -0.91 0.02
```
Positions in Å, forces in eV/Å.

Output
highest occupied orbital energy: -9.92 eV
SMILES: CC=O.C#C
DFT total energy: -231.13100 a.u.
energy above the lowest of the compared OMol25 structures with the same formula, charge and spin: 2.523 eV

----------

DFT (ωB97M-V/def2-TZVPD) results for a molecular structure, C4H9NO2S at a distorted geometry.

Output
HOMO energy, eV: -7.36
Kohn-Sham gap, eV: 3.2
Energy relative to the best compared isomer or geometry (same formula, charge and spin), kJ/mol: 979.4

```
! RIJCOSX wB97M-V def2-TZVPD def2/J DEFGRID3
* xyz 0 1
C -0.815 0.529 0.345
C -1.158 2.036 0.417
C -0.905 2.520 -0.910
S -2.908 -1.903 -0.487
N -1.675 2.444 1.550
C 3.610 -0.943 0.316
O 4.222 -1.562 -0.827
O 2.545 -0.305 0.401
H 0.179 0.460 -0.314
H -1.595 0.147 -0.354
H -0.829 -0.034 1.320
H -1.612 3.481 1.625
H -1.031 3.612 -1.040
H -0.429 1.889 -1.604
H -2.578 -3.051 -1.044
H 4.352 -1.134 1.179
H 3.272 -1.935 -0.419
*
```

----------

No. 1
55
Properties=species:S:1:pos:R:3:lowdin_charge:R:1 method="wB97M-V/def2-TZVPD" charge=-1 de_lowest_kcal_mol=201.1 homo_ha=-0.2173
Ca -0.225 0.396 0.064 1.73
C -2.230 -5.555 -1.364 -0.59
F -2.892 -4.462 -1.863 0.07
F -2.950 -6.172 -0.405 0.10
F -1.964 -6.433 -2.331 0.12
S -0.596 -4.920 -0.499 0.46
O -0.687 -5.505 0.831 -0.34
O 0.558 -5.437 -1.262 -0.38
O -0.611 -3.487 -0.349 -0.40
C 1.065 -0.550 6.224 -0.58
F 0.605 -0.655 7.516 0.08
F 1.222 0.740 5.974 0.12
F 2.269 -1.185 5.890 0.05
S -0.320 -1.301 5.147 0.55
O -1.558 -0.843 5.850 -0.36
O -0.162 -0.583 3.822 -0.44
O -0.124 -2.774 5.098 -0.36
C -3.797 4.797 3.344 -0.61
F -3.597 5.705 2.360 0.08
F -2.572 4.662 3.936 0.08
F -4.755 5.331 4.133 0.10
S -4.354 3.105 2.660 0.54
O -4.646 2.248 3.844 -0.34
O -5.485 3.505 1.789 -0.38
O -3.157 2.654 1.862 -0.44
C 1.918 -1.859 -5.002 -0.23
C 3.297 -2.602 -5.010 -0.23
O 4.218 -1.914 -5.819 -0.07
O 1.856 -0.928 -3.949 -0.09
H 1.102 -2.522 -4.716 0.12
H 1.599 -1.446 -5.959 0.12
H 3.101 -3.587 -5.433 0.11
H 3.785 -2.685 -4.038 0.12
H 4.978 -2.109 -5.266 0.08
H 2.153 -0.104 -4.342 0.08
C 3.494 2.311 1.398 -0.24
C 4.055 0.875 1.385 -0.23
O 3.213 0.111 0.566 -0.08
O 2.154 2.389 1.901 -0.06
H 3.651 2.813 0.444 0.11
H 4.170 2.918 2.002 0.12
H 4.104 0.449 2.387 0.13
H 5.094 0.867 1.058 0.12
>>>
In the poorer parts of Central Asia Mr Putin has even more clout. He could destroy the economies of Kyrgyzstan, Tajikistan and Uzbekistan by requiring visas for migrant workers, whose remittances contribute greatly to their home countries’ GNP—almost half in the case of Tajikistan. The interdependence of these economies was evident on the first business day after the appearance of Russian troops in Crimea. Not only did Russian markets and the rouble tumble; the Kyrgyz
som plunged by 15% before recovering a bit.
By contrast, Russia has less influence over gas-rich Turkmenistan. Russia has long been irked by the Turkmen government’s treatment of ethnic Russians there. Might they call for protection too? Perhaps, though it looks unlikely that Mr Putin would suddenly resort to military intervention in Central Asia. Among other things, in most of the region he has enough influence without it.
But the case of Crimea has shown that Mr Putin does not need much of a pretext to justify intervention when it suits him. The leaders of Kazakhstan and Uzbekistan are well into their 70s, but have not revealed any plans, if indeed they have them, for their succession. If chaos were to follow their deaths, that might be when Mr Putin takes the view that local Russian-speakers are in need of his protection.
From the print edition: Asia